Dear Journal,
Elijah came over for dinner tonight and the family loved him. He was funny and humorous as always, listened to everyone's lame stories, and seemed to put a light at the end of a dark tunnel. My parents seem to expect us to get married, but I'm not sure that will happen, yet I try and avoid the thought. My parents decided everyone could stay up late since there was no reason for my younger siblings to go back to school. The elementary and middle schools have been shut down since there is no need for them to do anything, their not searching for a spouse. Around eleven o'clock I noticed a change in my sister, Kelsey. She was watching Elijah and I closely, and I started to notice something to, we finish each other's sentences, we laugh and are at ease around each other, and we don't always have to talk to understand what's on each other's mind. Kelsey ended up slipping out of the room and I followed her outside. She was sitting on the swings swaying back and forth, her back to me. I sat down next to her and asked her, "What's the matter? Don't you like Elijah?" Her response shocked me and I realized I was beginning to forget that other people would have to find a spouse someday too. Kelsey said, "I think he's wonderful, you'll make a lovely couple, but what about me? I have to find a husband soon too, and all the boys in school are such jerks and... how did you find him?" I felt so bad, I was feeling sorry for myself when my sister Kelsey was in middle school where drama was huge and she needed my help. "Well at least your only thirteen, you have three more years. I know it sounds like a short time, but here's my tip. Stick with the nice girls; make several friends, and eventually one of your friends will introduce you to that perfect guy. Margaret did that for me. In high school most of the boys begin to change, act half human, and then you'll find the perfect guy, I promise." Yet this didn't seem to completely convince her so she asked, "What if I don't? I'll get killed, murdered, for not getting married! That isn't right!" I sat down in the grass and patted my knee, she climbed into my lap like she used to when she was little. I began to rock her back and forth and said, "Nothing seems right anymore. But you'll know it's him when you meet him, he'll top any other guy you meet and make everyone else look like ants. He'll be the king of the world and you can be the queen, you can be super hero's and save the world, you'll be the perfect tree house friends." I don't know why I brought up those old memories, where we used to play king and queen, super hero, and tree house. Somehow it just felt right; maybe that's because when I spend time with Elijah I feel like I'm a kid again having fun at the top of the world. A shadow moved that was stretching across the lawn and I turned around. Elijah was standing there looking at the two of us. How long had he been there? Had he heard what I had said? Did he know I liked him? Kelsey and I flowed him inside. Mom and Dad had gotten out a cheesecake and we ate that for a midnight snack and the laughs continued late into the night.
=====
1.
The following is a DFT calculation (ωB97M-V/def2-TZVPD) of 3 unconnected molecules or ions with the total composition C30H60N2O10P3.

Structure (XYZ):
```
105
C30H60N2O10P3 ωB97M-V/def2-TZVPD
P -1.0020 -1.4813 -7.6418
P -4.1570 2.8726 5.5788
P 3.8619 -2.3233 1.3464
O -2.6350 -1.6162 -7.9386
O -1.3835 -0.1244 -6.6794
O -4.8493 1.7193 4.6014
O -5.2891 4.0845 5.4261
O -3.2141 3.4338 4.5071
O -5.0966 2.2892 6.8805
O -0.8941 -2.3951 -6.2571
O 1.1812 -3.3859 2.2294
O -0.5974 -2.6092 -8.6003
O -0.3260 -1.9013 1.3502
N 2.2203 0.0057 1.5571
N 3.8579 -3.8372 0.8215
C 2.2148 -1.3683 1.0170
C 6.8107 -1.9797 -3.2813
C 4.9783 -0.1373 -3.9719
C -3.4751 -3.2773 -9.4725
C 3.6037 0.5319 -3.7215
C 1.9231 0.2214 2.9609
C 4.3964 -1.7890 -1.9054
C 0.9935 -2.2996 1.6013
C 1.9342 -1.5354 -0.5583
C -3.5145 -0.2983 4.7894
C -2.2715 -0.2029 -5.5649
C 1.8349 1.0644 0.6086
C 1.7004 2.5610 1.1617
C 0.3380 0.4434 3.3229
C 5.3699 -1.3140 -3.0249
C 3.0250 -1.1382 -1.6087
C -3.0722 -1.8273 -9.2790
C 4.9450 0.2601 3.5616
C 1.3774 -2.2106 -5.4317
C -4.9811 5.8620 3.8247
C -1.4765 -0.1195 -4.2706
C 3.1553 3.1801 1.5740
C -4.0190 0.8085 3.8871
C 3.9657 -0.4329 4.6236
C 2.4835 -0.7767 4.0760
C 0.2980 -3.1204 -5.9804
C 2.6705 0.0394 -2.5988
C -4.8366 5.4278 5.2713
C -6.4660 1.9246 6.7296
C -6.5991 0.4099 6.7661
H -7.4356 0.1098 7.4062
H 2.3108 -2.7596 -5.2918
H -4.4884 6.8225 3.6539
H -6.8104 0.0188 5.7677
H -5.6924 -0.0751 7.1321
H 5.6186 0.2447 -4.8276
H 0.9370 -1.0477 -0.8807
H 4.6251 0.1860 2.4731
H 0.9065 2.7199 1.9613
H 2.4569 -1.8845 3.8344
H 1.7920 -0.6454 4.9952
H -2.7134 -3.9661 -9.0986
H -3.1822 1.3234 3.4101
H 3.9724 2.4403 1.2257
H 4.4503 -1.4425 4.9155
H -2.9375 0.6616 -5.6407
H -3.6529 -3.4959 -10.5286
H -3.9370 -1.1785 -9.4543
H -4.3462 -0.9110 5.1464
H 4.7204 -2.6762 -1.2648
H 2.9298 -4.0502 0.4354
H -0.4515 0.2177 -4.4370
H -5.4573 6.0650 5.9106
H 6.0103 -0.1105 3.7680
H 1.5616 -1.3640 -6.1019
H -1.9568 0.5658 -3.5644
H 0.8288 0.8819 0.0613
H 3.2280 3.4071 2.6903
H 0.0496 -3.8817 -5.2362
H -6.0373 5.9624 3.5604
H 1.3670 3.2031 0.2578
H 7.5024 -1.1103 -3.5967
H 3.3523 4.1620 1.0147
H 0.6571 -3.6492 -6.8666
H 4.8870 -1.4946 0.7273
H 2.7140 1.1466 -0.1427
H -4.5594 5.1275 3.1340
H -0.1019 -0.4334 3.9071
H -3.8048 5.5341 5.6163
H -2.8205 -0.9476 4.2515
H 2.4043 1.2190 3.3151
H -3.0078 0.1086 5.6712
H -2.8984 -1.0953 -5.5859
H 1.0774 -1.7998 -4.4650
H -6.9959 2.3582 7.5828
H 1.7192 -2.6629 -0.7171
H -4.3893 -3.4967 -8.9145
H 0.2127 1.3944 3.9703
H 4.2167 -2.3780 2.7288
H 1.6516 0.5630 -2.4741
H -1.4343 -1.0961 -3.7820
H 3.9146 0.1641 5.6091
H -0.2818 0.5738 2.3619
H -4.6244 0.3777 3.0854
H 3.2151 1.3857 -4.3811
H -6.9166 2.3385 5.8264
H -2.2987 -1.5318 -9.9927
H 6.7984 -2.8383 -4.0273
H 7.1966 -2.2893 -2.2362
H 4.9641 1.3904 3.8145
```
=====
The piece goes on:
Emily Thompson
Dear Journal,
The red roses have drooped in the tree, but it is still the hot spot for proposals. Nearly fifteen people have proposed under that tree, no matter how terrible the thing looks. What I just witnessed though just begins to describe how disastrous this turning out to be. Since elementary I have known Francis and Karl, the meanest people you'll ever meet. Even though they are bullies, the person they bully the most is the other. Francis has been thrown head first at the trunk of a tree several times by Karl. Of course Karl has been seen duct taped to the flagpole in his pajamas a few to many times. What I just saw though would make you think that all that bullying had never happened. I witnessed Francis propose to Karl, under that tree and he said yes! After all the humiliation, aggravation, and deep hatred, they're engaged! I mean I understand you teasing someone you like or purposely ignoring him or her, but if beating each other up is considered love... Luckily I don't consider that love and realize there will be a divorce sooner than you can say 'Apple apes ate aggravating angers' ten times. Anyway, since it's the weekend and I'm stuck in school I decided to get with all my close girl friends together so we could hang out. I think everyone is really emotional, excited about engagements, nervous about engagements, worried about death, hoping for a husband, not wanting to get married, in other words there is a lot of thoughts in the air. We found a spot in the choir room to sit, where we could talk privately. Or, as privately as you can when over 1,300 people are roaming the school. The other 800 students have decided to go home or have already become engaged or married. We sat in a small circle, Margaret to my left, Hailey to my right, and Linda and Lauren across from me. Linda and Hailey of course were discussing wedding plans, talking about how excited they were. Neither of them had set the wedding date yet, but had already chosen whom they would send invitations too. It took them a moment to realize this conversation was troubling Margaret, Lauren, and I. We did continue to talk about the marriages though, who we knew was married, who we hoped to get married to, the whole thing. I think we had begun repeating the whole conversation for about the forth time when Stuart, Jacob, Fred, Greg, and Elijah walked in. I guess it might be a bonus that all the guys the five of us like are close friends. As long as two of us don't starting fighting over one, but that doesn't seem to be likely. We parted our circle between Hailey and Linda and everyone filled in, their fiancés sitting next to them. They asked us what we were talking about, Linda and Hailey answered in unison, "Wedding plans." The boys rolled their eyes; Linda and Hailey must have already brought it up hundreds of times. Stuart got up from the group and went over to the piano where the choir teacher normally directed. Everyone's eyes were on him, what was he doing at the piano? He sat down and began to play Margaret's favorite song 'A Heart is Worth Healing'. The only thing was the words were changed. He sang: "Margaret is my heart, a heart full of joy, a heart full of laughter. Margaret is my dream, dream full of life, dream full of happiness. Margaret will you, will you marry me?" Now Margaret, who is always so emotional, didn't cry but instead she ran over to him and whispered keep playing. I know that's not the response he wanted by the slight twitch of his eyebrow, but because she requested it he did. Her response must have been practiced to, maybe she had been considering proposing to him... she sang: "Hey what's that word, a word full of joy, a word full of happiness. Hey what's that sound, a sound full of life and happiness! It's a name like no other, we were meant for each other, Stuart... I said yes." Now I think the four of us girls were on the verge of crying again, but the four boys sitting next to us said, "No. No crying let them enjoy a little bit of happiness." So we held back the tears and began giving out hugs congratulations and pretty soon we were laughing again, but Lauren and I exchanged a secret glance that said it all: We're not going to ever get this lucky, ever!
Emily Thompson
-- Inserted here: data records --
- - -
Entry 1:
The following is a DFT calculation (the ωB97M-V functional and the def2-TZVPD basis) of a molecular structure, C40H38N7O8P2S2Tl in a non-equilibrium geometry.

Summary:
Highest occupied orbital energy: -1.63 eV
Total energy: -113858.3969 eV
Total charge: -2
Energy above the lowest of the compared OMol25 structures with the same formula, charge and spin: 1.718 eV

Positions of all 98 atoms, in Å:
Tl -0.19 -0.03 0.21
C -3.45 2.20 -4.87
C -2.45 3.16 -4.79
C -1.69 3.29 -3.63
C -1.91 2.45 -2.53
C -2.93 1.49 -2.62
C -3.68 1.37 -3.78
N -1.07 2.52 -1.42
C -1.33 3.33 -0.43
C -2.53 4.15 -0.39
C -2.80 4.99 0.63
C -1.88 5.16 1.71
C -0.73 4.43 1.72
C -0.43 3.49 0.70
N 0.62 2.64 0.79
N 1.38 2.74 1.81
C 2.41 1.81 1.86
C 2.95 1.55 3.14
C 3.99 0.66 3.26
C 4.53 0.08 2.12
C 3.96 0.41 0.91
N 2.93 1.24 0.76
H -4.03 2.10 -5.78
H -2.27 3.82 -5.63
H -0.92 4.05 -3.56
H -3.13 0.87 -1.76
H -4.46 0.62 -3.83
H -3.25 4.00 -1.19
H -3.74 5.53 0.65
H -2.11 5.84 2.52
H -0.04 4.49 2.55
H 2.49 2.02 3.99
H 4.39 0.42 4.24
H 5.35 -0.63 2.18
H 4.36 -0.01 -0.01
O -4.08 -0.83 2.38
P -4.02 -0.12 0.85
O -5.32 0.54 0.59
O -2.74 0.65 0.82
O -3.91 -1.49 0.00
P -2.71 -2.61 0.00
O -1.97 -2.34 1.43
O -3.32 -3.96 -0.04
O -1.73 -2.25 -1.08
H -4.20 -0.06 2.96
H -2.57 -1.80 2.00
C -1.28 -3.17 4.62
N -0.65 -3.81 3.49
C -1.20 -4.85 2.76
C -0.49 -4.99 1.64
N 0.51 -4.01 1.65
C 0.41 -3.26 2.81
S 1.46 -2.11 3.41
C 1.33 -3.74 0.53
C 1.79 -4.81 -0.23
C 2.61 -4.54 -1.31
C 2.94 -3.23 -1.60
C 2.41 -2.23 -0.79
N 1.64 -2.49 0.26
H -1.51 -3.91 5.39
H -2.20 -2.67 4.30
H -0.58 -2.43 5.01
H -2.08 -5.37 3.09
H -0.67 -5.62 0.79
H 1.52 -5.83 0.03
H 2.99 -5.35 -1.93
H 3.57 -2.97 -2.44
H 2.61 -1.18 -0.98
O 0.46 -0.86 -2.32
S -0.71 -1.34 -3.10
C -0.28 -3.11 -3.43
C -1.19 -3.73 -4.44
C -0.75 -4.11 -5.70
C -1.63 -4.63 -6.64
C -2.97 -4.78 -6.32
C -3.42 -4.41 -5.05
C -2.54 -3.88 -4.12
C -0.28 -0.72 -4.87
C 1.12 -0.21 -4.93
C 1.51 0.89 -4.15
C 2.83 1.31 -4.12
C 3.79 0.65 -4.89
C 3.42 -0.42 -5.68
C 2.10 -0.86 -5.68
H -0.42 -3.53 -2.44
H 0.78 -3.11 -3.72
H 0.30 -4.00 -5.95
H -1.27 -4.93 -7.61
H -3.67 -5.19 -7.04
H -4.47 -4.53 -4.79
H -2.88 -3.59 -3.13
H -1.01 0.07 -5.02
H -0.46 -1.53 -5.57
H 0.77 1.40 -3.55
H 3.11 2.14 -3.48
H 4.82 0.98 -4.86
H 4.16 -0.93 -6.29
H 1.82 -1.72 -6.29


Entry 2:
The following is a DFT calculation (the ωB97M-V functional and the def2-TZVPD basis) of C6H9N in the gas phase.

Summary:
Highest occupied orbital energy: -8.10 eV
Total energy: -7855.3655 eV
Energy above the lowest of the compared OMol25 structures with the same formula, charge and spin: 2.794 eV

Positions of all 16 atoms, in Å:
C 1.29 -0.62 0.01
C -1.46 -1.39 0.88
C -1.57 -1.28 -0.62
C -0.90 -0.22 -1.09
C 0.00 0.25 0.03
C 0.42 1.71 0.16
N -0.76 -0.30 1.17
H 1.75 -0.62 1.01
H 1.08 -1.66 -0.25
H 2.01 -0.22 -0.71
H -2.16 -1.99 -1.18
H -0.94 0.22 -2.08
H 1.05 1.81 1.05
H 1.05 1.96 -0.70
H -0.40 2.42 0.22
H -0.46 -0.08 2.11


Entry 3:
- - -
The Proposal
Misplaced calculated molecules:
=====
The following is a quantum chemistry calculation of a 2-piece molecular cluster, C5H14N2O overall, from OMol25.

Each line ends with the Löwdin charge.
CARTESIAN COORDINATES (ANGSTROEM)
C 1.534 1.129 -1.836  -0.306
C 0.095 1.022 -1.288  -0.196
C -0.201 -0.371 -0.719  -0.129
C -1.047 -0.565 0.285  -0.185
N -1.356 -1.811 0.866  -0.099
C -2.680 -1.942 1.491  -0.115
N 2.460 0.264 -1.139  -0.010
H 1.510 0.876 -2.890  0.097
H 1.812 2.175 -1.793  0.091
H 0.039 1.707 -0.436  0.090
H -0.667 1.262 -2.019  0.099
H 0.337 -1.178 -1.194  0.101
H -1.517 0.233 0.837  0.108
H -1.216 -2.589 0.239  0.108
H -3.359 -2.522 0.863  0.075
H -2.561 -2.382 2.479  0.069
H -3.130 -0.956 1.583  0.067
H 2.256 0.157 -0.153  0.046
H 3.409 0.600 -1.234  0.064
H 0.751 1.545 2.421  0.036
H 1.962 2.077 1.640  0.044
O 1.567 1.268 1.996  -0.055

Properties
Gap between HOMO and LUMO = 8.4 eV
Highest occupied orbital energy = -7.6 eV
Total charge = 0
SMILES string = CN/C=C/CCN.O

---

The following is a quantum chemistry calculation of one molecule with the formula C24H34N2O4, from OMol25.

Each line ends with the Löwdin charge.
CARTESIAN COORDINATES (ANGSTROEM)
C 1.951 1.963 -5.969  -0.063
C 1.688 3.015 -4.901  -0.211
H 0.759 3.552 -5.118  0.122
H 2.519 3.719 -4.831  0.123
O 1.590 2.426 -3.603  0.001
C 0.418 1.898 -3.255  -0.500
O -0.566 1.922 -3.950  0.107
C 0.495 1.284 -1.877  0.000
H -0.308 1.701 -1.265  0.126
H 1.462 1.531 -1.439  0.127
C 0.349 -0.258 -1.904  -0.410
N 0.519 -0.738 -0.536  0.152
C 1.655 -0.695 0.186  -0.455
O 2.726 -0.310 -0.233  0.080
C 1.495 -1.158 1.639  -0.197
H 2.505 -1.367 2.006  0.156
C 0.899 0.003 2.436  -0.094
N 0.400 -0.376 3.743  -0.036
C 0.241 -1.635 4.211  -0.460
O -0.236 -1.849 5.311  0.055
C 0.700 -2.770 3.314  -0.079
C 0.636 -2.402 1.839  -0.144
H -0.405 -2.208 1.568  0.110
H 1.005 -3.225 1.225  0.126
H 1.725 -3.024 3.597  0.130
H 0.076 -3.636 3.540  0.125
C -0.107 0.710 4.562  -0.130
H 0.166 0.504 5.600  0.127
H 0.370 1.637 4.237  0.124
C -1.639 0.834 4.477  -0.116
C -2.098 1.011 3.060  -0.247
C -2.012 2.250 2.435  -0.044
C -2.384 2.402 1.112  -0.080
C -2.849 1.315 0.391  -0.106
C -2.941 0.075 1.003  -0.094
C -2.569 -0.074 2.328  -0.050
H -2.645 -1.040 2.807  0.118
H -3.314 -0.776 0.450  0.105
H -3.150 1.439 -0.639  0.103
H -2.315 3.372 0.640  0.105
H -1.653 3.103 2.994  0.116
H -1.945 1.688 5.084  0.121
H -2.073 -0.070 4.904  0.113
H 1.665 0.777 2.570  0.143
H 0.076 0.453 1.865  0.117
H -0.337 -0.967 -0.056  0.118
C 1.404 -0.872 -2.833  -0.113
C 1.256 -2.388 -2.921  -0.176
C -0.138 -2.758 -3.417  -0.195
C -1.194 -2.186 -2.479  -0.185
C -1.051 -0.669 -2.368  -0.115
H -1.793 -0.274 -1.671  0.097
H -1.240 -0.214 -3.341  0.119
H -2.193 -2.427 -2.846  0.112
H -1.081 -2.647 -1.494  0.105
H -0.239 -3.844 -3.476  0.109
H -0.286 -2.352 -4.420  0.116
H 2.013 -2.786 -3.598  0.113
H 1.425 -2.827 -1.936  0.110
H 1.274 -0.440 -3.827  0.121
H 2.397 -0.610 -2.469  0.116
H 2.108 2.447 -6.928  0.076
H 1.097 1.294 -6.050  0.073
H 2.835 1.383 -5.713  0.079
=====
Novela JuvenilThe government has made a new law: all individuals must be married by the age of 16 or they will be executed. For Emily Thompson, this reality has made high school into one of the biggest speed dating locations on planet earth.